Samstag, 23. Juli 2022

I was 19 and falco asked me: have you already done coke? I said no, neither hashish. well, 4 years later: i'm leaving austria happy Birthday. My birthday is on February 18th, he's on the 19th. The funeral on the 14th was a bit too early

it was only about race and vmat2 never about jewish identity, vienna is inferior monkey blood, we creation, the artifacts in vienna prove that. fuck israel, fuck mossad

Am 1. Juli wurden alle Juden im Deutschen Reich unter Polizeirecht gestellt, so polizeilicher Willkür ausgeliefert und völlig entrechtet, ebenso wie ihre Helfer.[7] Am 24. August wurde Himmler zum Reichsinnenminister ernannt, so dass ihm alle Polizeikräfte im Reich und in den eroberten Gebieten unterstanden. Bis zum 19. Oktober sollte die „Aktion Reinhardt“ beendet und sollten drei der dazu eingerichteten Vernichtungslager aufgelöst werden.

Writing invoices, evaluating art, buying and selling in a free market economy is a science and a profession. austria is just dirty inferior monkeys fascism

Inserted here: crystal structures:
┌──
The following is a DFT calculation (GGA-PBE) of a relaxed structure of Na3ZnGaP2SO12.

Cell: 8.883 8.835 22.180 Å, 90.30 90.00 120.18°
Sites, in units of the cell vectors:
Na: 0.362 0.360 0.248
Na: 0.999 0.631 0.248
Na: 0.632 0.631 0.748
Na: 0.998 0.360 0.748
Na: 0.029 0.694 0.582
Na: 0.665 0.964 0.582
Na: 0.299 0.964 0.082
Na: 0.665 0.694 0.082
Na: 0.696 0.027 0.915
Na: 0.332 0.297 0.915
Na: 0.965 0.297 0.415
Na: 0.331 0.027 0.415
Na: 0.992 0.994 0.499
Na: 0.002 0.994 0.999
Na: 0.659 0.328 0.832
Na: 0.669 0.328 0.332
Na: 0.326 0.661 0.165
Na: 0.335 0.661 0.665
Zn: 0.992 0.995 0.350
Zn: 0.003 0.995 0.850
Zn: 0.659 0.328 0.683
Zn: 0.669 0.328 0.183
Zn: 0.326 0.662 0.016
Zn: 0.336 0.662 0.516
Ga: 0.994 0.013 0.651
Ga: 0.019 0.013 0.151
Ga: 0.661 0.347 0.984
Ga: 0.685 0.347 0.484
Ga: 0.328 0.680 0.317
Ga: 0.352 0.680 0.817
P: 0.295 0.001 0.251
P: 0.999 0.290 0.251
P: 0.292 0.290 0.751
P: 0.706 0.001 0.751
P: 0.962 0.334 0.585
P: 0.666 0.624 0.585
P: 0.958 0.624 0.085
P: 0.373 0.334 0.085
P: 0.628 0.667 0.918
P: 0.332 0.957 0.918
P: 0.625 0.957 0.418
P: 0.039 0.667 0.418
S: 0.706 0.711 0.250
S: 0.005 0.711 0.750
S: 0.373 0.045 0.583
S: 0.672 0.045 0.083
S: 0.039 0.378 0.916
S: 0.339 0.378 0.416
O: 0.214 0.033 0.307
O: 0.818 0.787 0.303
O: 0.972 0.184 0.308
O: 0.212 0.184 0.808
O: 0.970 0.787 0.803
O: 0.820 0.033 0.807
O: 0.784 0.959 0.694
O: 0.171 0.207 0.695
O: 0.034 0.818 0.694
O: 0.784 0.818 0.194
O: 0.037 0.207 0.195
O: 0.175 0.959 0.194
O: 0.880 0.367 0.640
O: 0.484 0.121 0.636
O: 0.639 0.518 0.642
O: 0.879 0.518 0.142
O: 0.636 0.121 0.136
O: 0.486 0.367 0.140
O: 0.451 0.292 0.027
O: 0.837 0.541 0.028
O: 0.701 0.151 0.028
O: 0.450 0.151 0.528
O: 0.703 0.541 0.528
O: 0.841 0.292 0.527
O: 0.547 0.700 0.974
O: 0.151 0.454 0.970
O: 0.305 0.851 0.975
O: 0.545 0.851 0.475
O: 0.303 0.454 0.470
O: 0.153 0.700 0.474
O: 0.118 0.626 0.361
O: 0.504 0.874 0.362
O: 0.367 0.484 0.361
O: 0.117 0.484 0.861
O: 0.370 0.874 0.862
O: 0.508 0.626 0.861
O: 0.026 0.833 0.410
O: 0.810 0.988 0.411
O: 0.181 0.200 0.411
O: 0.019 0.200 0.911
O: 0.178 0.988 0.911
O: 0.806 0.833 0.910
O: 0.971 0.161 0.589
O: 0.194 0.021 0.590
O: 0.840 0.811 0.590
O: 0.971 0.811 0.090
O: 0.827 0.021 0.090
O: 0.190 0.161 0.089
O: 0.693 0.166 0.743
O: 0.477 0.321 0.744
O: 0.848 0.534 0.744
O: 0.686 0.534 0.244
O: 0.844 0.321 0.244
O: 0.473 0.166 0.243
O: 0.638 0.495 0.923
O: 0.861 0.354 0.923
O: 0.507 0.145 0.923
O: 0.638 0.145 0.423
O: 0.493 0.354 0.423
O: 0.857 0.495 0.423
O: 0.360 0.500 0.077
O: 0.143 0.654 0.078
O: 0.514 0.867 0.078
O: 0.353 0.867 0.578
O: 0.511 0.654 0.578
O: 0.140 0.500 0.577
O: 0.304 0.828 0.256
O: 0.528 0.688 0.256
O: 0.173 0.478 0.257
O: 0.305 0.478 0.757
O: 0.160 0.688 0.756
O: 0.524 0.828 0.756

Calculated values
total DFT energy (no corrections) = -725.9 eV/cell
formation energy = -2331 meV/atom

=====

1.
# CsFeH24S2O20, optimized geometry, DFT PBE with a Hubbard U
data_CsFeH24S2O20
_chemical_formula_sum 'Cs4 Fe4 H96 S8 O80'
_symmetry_space_group_name_H-M 'P 1'
└──

the value of man is not taxes, work, housing, cleanliness, or fucking. the value of man is written in 500 books and hung on the bell in the international court of justice and UNO/amnesty international, the only thing is: only bad genes, fascism are selected as employees in all authorities.... مادر جنده های دزد اجنبی

the empire behind the eye

Manuscript number 9: why did america ban the rain dance!? everyone insults putin, and nobody asks why america forbids native american rain dancing. Bad tablet camera. shaman

Freitag, 22. Juli 2022

سرنخ طناب دار

چند هفته پیش دیدم یه دختره آلمانی داره به ما سرنخ میده، یک لحظه نگاه کردم، در آن یک  ثانیه هزار کلام گفتم، یک ثانیه هزار تصویر: زنیکه سرش عقیدتی میخواد بره لاپای بنده، بعدش هیچی دیگه، بعدش نه میشه کار کرد نه زندگی کرد نه از زندگی چیزی فهمید، خانوم سرش مدام لا پای بنده است همه چی هم معمول، چرا که مردم شهر رل عقیدتی بازی میکنند. میگه سرم رو لاپات میکنم مثل آزاده ولی نمیگذارم رل عقیدتی رو از مردم بگیری، نمیذارم، نمیذارم مردم رو از من بگیری! باید خودکشی کنی بعد از من. بعد از من بفهمی چرا و خودکشی کنی. مادرجنده سیاره این فرازمینی ها رو کی ما با بمب اتم منفجر کنیم خدا میدونه، والا در دروازه عنش یکسره به زمین گل و گشاد بازه، کوسکش جنده های روانی

Austrian becomes a socialist? Communist? social democrat? green environmentalist?, liberal? neoliberal? conservative? This blood and flesh is a fascist with a mass murder program mode, no matter what political color, this flesh and blood is sadistic fascism and human killer, the red ones are worse than others

Marx said: all proletariat should become one, there should be no talk of creation and evolution. few years later you saw in socialist romantic architecture, secret socialist satanic romanticism

that's why Marx said: boheme bourgeoisie is kharkosdeh, we say ice-cold capitalism, and these people say: we are warm pragmatists, instinctive and... mm LOL

for the position where i set up the stones i need a special camera, i have no money. i just wanted to show who i communicate with as a schizophrenic in magic magistrad. I live upstairs, there is a tree of life inside me and those below must come to me soon

the statement from austria is: we will not let ourselves be reduced, not because of prehistory and not because of 130 human rights violations. I've been living with these idiots since 1986

at the danube island festival, billions of such works of art are smashed every year, i have stopped collecting, i donate a few euros in aquarium shop for rescue. We were here

the fact that iranian gypsies enjoy impunity and are exempt from working hours and are supported in all actions with high technology is the result of a deep hatred behavior since and before herodot.. bought in an aquarium shop in vienna

آقا یک روز مست بودیم از این ساسان سوال کردیم: میرفطروس میگه شعوبیه گفته بودند هرودوتس کافر ولدزنایی بوده، مرتیکه قرمساق، یک دفعه غرش کرد: شعوبیه مگه آدم بودند!؟ بعد دیدم علی به اصغر چشمک میزنه اونم به ساسان: اینجوریاست، کی شما آدم بودید

the stories and statements of herodot, a drunk alcoholic, were like this austria, insofar as he knew the prehistory, since 3000 years the traces have been blurred, especially with 500 years of rome

the mother fucker not only knows poetry, but also rock art from elam before alexander's time, 7000 B.C. can also be found in vienna

شاخه و پیوند

شاخه درخت

شاعر ارژنگ زرگوش

من همان شاخه درختم

که با شاخه دیگر

پیوند خوردم

به امید یک محصول

خوب وشیرین


که میوهایمان


و کرم حاصل از آن

میخورد برگهای سبز

وتنه ام را

مشکل از آب و هوا


سهل انگاری از،

باغبان است ...

islam is old insofar as i have thesis that the prophet muhammed has become older than noah, like some in luristan and elam.

islam is old in vienna

-- Between two parts of the entry: materials data --
____________
# 1
! NaBrO3 (meta-GGA r2SCAN, optimized geometry); values from VASP
&SYSTEM
  ibrav = 0, nat = 20, ntyp = 3
/
ATOMIC_SPECIES
Na 22.99 Na.upf
Br 79.90 Br.upf
O 16.00 O.upf
ATOMIC_POSITIONS crystal
Na 0.079 0.079 0.079
Na 0.421 0.921 0.579
Na 0.579 0.421 0.921
Na 0.921 0.579 0.421
Br 0.097 0.597 0.903
Br 0.403 0.403 0.403
Br 0.597 0.903 0.097
Br 0.903 0.097 0.597
O 0.006 0.217 0.401
O 0.099 0.994 0.717
O 0.217 0.401 0.006
O 0.283 0.599 0.506
O 0.401 0.006 0.217
O 0.494 0.783 0.901
O 0.506 0.283 0.599
O 0.599 0.506 0.283
O 0.717 0.099 0.994
O 0.783 0.901 0.494
O 0.901 0.494 0.783
O 0.994 0.717 0.099
CELL_PARAMETERS angstrom
6.640 0.000 0.000
0.000 6.640 0.000
0.000 0.000 6.640
! - magnetic moment (μB per formula unit) = 0.000
! - calculated formation energy (kJ/mol of atoms) = -60.3
! - final energy (eV/atom) = -7.5731

=====

# 2
! Na3BrO (meta-GGA r2SCAN, optimized geometry); values from VASP
&SYSTEM
  ibrav = 0, nat = 5, ntyp = 3
/
ATOMIC_SPECIES
Na 22.99 Na.upf
Br 79.90 Br.upf
O 16.00 O.upf
ATOMIC_POSITIONS crystal
Na 0.000 0.000 0.500
Na 0.000 0.500 0.000
Na 0.500 0.000 0.000
Br 0.500 0.500 0.500
O 0.000 0.000 0.000
CELL_PARAMETERS angstrom
4.533 0.000 0.000
0.000 4.533 0.000
0.000 0.000 4.533
! - magnetic moment (μB per formula unit) = 0.068
! - calculated formation energy (kJ/mol of atoms) = -152.3
! - final energy (eV/atom) = -7.5629

=====

# 3
! Na3TbBr6 (meta-GGA r2SCAN, optimized geometry); values from VASP
&SYSTEM
  ibrav = 0, nat = 20, ntyp = 3
/
ATOMIC_SPECIES
Na 22.99 Na.upf
Tb 158.93 Tb.upf
Br 79.90 Br.upf
ATOMIC_POSITIONS crystal
Na 0.000 0.000 0.000
Na 0.000 0.500 0.500
Na 0.203 0.090 0.737
Na 0.203 0.410 0.237
Na 0.797 0.590 0.763
Na 0.797 0.910 0.263
Tb 0.500 0.000 0.500
Tb 0.500 0.500 0.000
Br 0.113 0.180 0.433
Br 0.113 0.320 0.933
Br 0.251 0.691 0.419
Br 0.251 0.809 0.919
Br 0.406 0.062 0.259
Br 0.406 0.438 0.759
Br 0.594 0.562 0.241
Br 0.594 0.938 0.741
Br 0.749 0.191 0.081
Br 0.749 0.309 0.581
Br 0.887 0.680 0.067
Br 0.887 0.820 0.567
CELL_PARAMETERS angstrom
7.153 0.000 0.000
0.000 7.691 0.000
-6.981 0.000 10.758
! - magnetic moment (μB per formula unit) = 0.000
! - calculated formation energy (kJ/mol of atoms) = -187.3
! - final energy (eV/atom) = -14.0889

=====

# 4
! Na3TmBr6 (meta-GGA r2SCAN, optimized geometry); values from VASP
&SYSTEM
  ibrav = 0, nat = 20, ntyp = 3
/
ATOMIC_SPECIES
Na 22.99 Na.upf
Tm 168.93 Tm.upf
Br 79.90 Br.upf
ATOMIC_POSITIONS crystal
Na 0.000 0.000 0.000
Na 0.000 0.500 0.500
Na 0.206 0.088 0.738
Na 0.206 0.412 0.238
Na 0.794 0.588 0.762
Na 0.794 0.912 0.262
Tm 0.500 0.000 0.500
Tm 0.500 0.500 0.000
Br 0.118 0.179 0.434
Br 0.118 0.321 0.934
Br 0.256 0.694 0.422
Br 0.256 0.806 0.922
Br 0.405 0.059 0.261
Br 0.405 0.441 0.761
Br 0.595 0.559 0.239
Br 0.595 0.941 0.739
Br 0.744 0.194 0.078
Br 0.744 0.306 0.578
Br 0.882 0.679 0.066
Br 0.882 0.821 0.566
CELL_PARAMETERS angstrom
7.135 0.000 0.000
0.000 7.641 0.000
-6.992 0.000 10.668
! - magnetic moment (μB per formula unit) = 0.000
____________

وَ جَعَلْنا مِنْ بَینِ أَیدیهِمْ سَدًّا وَ مِنْ خَلْفِهِمْ سَدًّا فَأَغْشَیناهُمْ فَهُمْ لا یبْصِرُون


إِلاَّ تَنْصُرُوهُ فَقَدْ نَصَرَهُ اللَّهُ إِذْ أَخْرَجَهُ الَّذینَ کفَرُوا ثانِی اثْنَینِ إِذْ هُما فِی الْغارِ إِذْ یقُولُ لِصاحِبِهِ لا تَحْزَنْ إِنَّ اللَّهَ مَعَنا فَأَنْزَلَ اللَّهُ سَکینَتَهُ عَلَیهِ وَ أَیدَهُ بِجُنُودٍ لَمْ تَرَوْها وَ جَعَلَ کلِمَةَ الَّذینَ کفَرُوا السُّفْلی وَ کلِمَةُ اللَّهِ هِی الْعُلْیا وَ اللَّهُ عَزیزٌ حَکیمٌ

this is a screenplay from prehistory in vienna, islam is old

وَ إِذْ یمْکرُ بِک الَّذینَ کفَرُوا لِیثْبِتُوک أَوْ یقْتُلُوک أَوْ یخْرِجُوک وَ یمْکرُونَ وَ یمْکرُ اللَّهُ وَ اللَّهُ خَیرُ الْماکرین

iranian cinema is my cock because i can write 3 screenplays a month, each worth 4 oscars. I a vmat2 god child, job number 7

iranian art, cinema and music society has owing to success become anti vmat2 movement, alongside ali khamenei and his followers like iranian celebrities ali dai and asghar farhadi. international networks with celebrities help for the reputation of this movement, like angelina julie and half hollywood


آقا جریان امام نقی میدونید چی بود!؟

torture and terror antisemitism, fascism, minority persecution, war, psychological war is not because of religious identity, but gene dna, left hand and metaphysics. i am under stasi terror, poverty, torture, corporal punishment, sex deprivation, and permanent street theater, in a 1.5 million city

international hate campaign was:, police ruined my business with politicians and officials who earned millions for vmat torture and NS repeat with ahmadninejad, mojtaba khamenei 2003-2006. apparently with terrorist mansour farahani since that time, my oncle and stasi agent